Yet he felt the very closeness of the security forces was unnerving. The agent operating in hostile territory has to be self-sufficient and self-supporting. All just as applicable to the British agent working in Great Britain. Can’t be like the little boy with the bloody nose running home to Mum. In Mansoura it had been quite conventional and therefore more acceptable.
Not only was the city deserted of people. It was battened down for the day. Iron railings, their tops split into sharp tridents, blocked off the shopping streets that fanned off Royal Avenue. The turnstile gates into the security precincts were padlocked. Shops inside and outside the barricades had their windows barricaded and shuttered.
• Calculated crystals from another source follow:
┌──
Mg2BRu2 | PBE-GGA | relaxed

The structure in POSCAR format:
```
Mg2BRu2
1.0
5.7345 0.0000 0.0000
0.0000 5.7345 0.0000
0.0000 0.0000 4.3991
Mg B Ru
4 2 4
direct
0.1670 0.3330 0.0000
0.3330 0.8330 0.0000
0.6670 0.1670 0.0000
0.8330 0.6670 0.0000
0.0000 0.0000 0.5000
0.5000 0.5000 0.5000
0.1569 0.6569 0.5000
0.3431 0.1569 0.5000
0.6569 0.8431 0.5000
0.8431 0.3431 0.5000
```

Computed properties:
Calculated formation energy, eV per atom: -0.13
Density, g/cm³: 6.00
Crystal system: tetragonal

* * * * *

# 1
LiScOs2 | GGA-PBE | relaxed

Output
energy above the lowest structure with this stoichiometry = 368.2 meV/atom
energy relative to the elements = 0.3351 eV/atom
DOS at the Fermi energy = 4.4 states/eV per cell
DFT total energy = -7.341 eV/atom
total magnetic moment = 0.0000 μB per atom

POSCAR file:
```
LiScOs2
1.0
0.0000 3.0973 3.0973
3.0973 0.0000 3.0973
3.0973 3.0973 0.0000
Sc Os Li
1 2 1
Cartesian
3.0973 3.0973 3.0973
1.5486 1.5486 1.5486
4.6459 4.6459 4.6459
0.0000 0.0000 0.0000
```

# 2
TcMo4As | GGA-PBE | relaxed

Output
energy relative to the elements = 0.5473 eV/atom
DOS at the Fermi energy = 6.3 states/eV per cell
DFT total energy = -9.176 eV/atom
total magnetic moment = 0.0000 μB per atom

POSCAR file:
```
TcMo4As
└──
• End of the calculated crystals:
Down near the post office he found a bank of empty phone boxes, with only the work of vandals to prevent him taking his pick from a choice of six. It was cold inside the booth, with the wind cutting through the gaps left where the kids had kicked out the glass in the days before the army operated in strength in the city centre.
He took from his pocket a pile of ten-pence pieces and arrayed them in formation like fish scales on the top of the money box, and dialled the London number he had memorized in Dorking. If he had gone through an operator some of his call might have been overheard. This was the safe way. The phone rang a long time before it was answered.
Davidson heard the ringing when he was at the bottom of the stairs.
Against its shrill persistence he fumbled with his key ring to release the three separate locks on the heavy door, and stumbled across the darkened room where the blinds were still down. He picked up the receiver.
‘Four-seven-zero-four-six-eight-one. Can I help you?’
‘It’s Harry. How are the family?’
‘Very well, they liked the postcards, I’m told.’
That was the routine they had agreed. Two sentences’ chatter to show the other that he was a free agent and able to talk.
‘How’s it going, Harry boy?’
‘Middling. I’ll get the report over first. Then we’ll talk. Going in ten from now.’
That was time enough for Davidson to get the drawer in the leg of his desk open, switch on the cassette recorder and plug in the lead to the telephone receiver.
‘Going now, OK? The man is in Belfast still. I’m sure of that. He is apparently under great stress and while on the run shortly after the shooting was with a girl called Theresa. No second name. She’s from the Ballymurphy area. He tried to screw her, and she’s telling her friends that he couldn’t make it, because he was so wound up about the shooting. She’s late teens or early twenties. She was at a dance last night in a green-painted hut in the Ardoyne. She was wearing pink, tight skirt. The army heifered their way in, and picked up about a dozen blokes, some of them in Theresa’s group. They should be holding them still, unless they work bloody fast. One of them can identify her. So she’s worth a bit of chat and then I think we’ll be homeward bound. Seems straight sailing from here. That’s the plus side. Now the anti. In the club I was lined up for an ID check. Lance-Corporal from Wales asking questions, a young boy writing down the answers. The boy recognized me. God knows from when, but he did. I’d like it sorted out. I’m going to lie low for today, but I may have a job of sorts coming up. That’s about it, basically.’
‘Harry, we were worried when we didn’t hear anything.’
‘I didn’t want to call in till I had something to say.’
‘I won’t mess you about. But I know you’re not staying where we planned for you.’
‘Too bloody right. Right little army rest house. Right out of the interesting areas, and I take a peep at the place and out comes some squaddie in plains. Shambles that was. You should crucify whoever sold you that pup.’
‘Thanks, Harry. I’ll kill them for it. I’ll go high on it.’
‘I’ve made it on my own. Quite snug, on the other side of town. Let’s leave it that way. I’ll call you if anything else shows up.’
‘We’ll do it your way. It’s not usual, but OK. Nothing more?’
‘Only tell the people who pick the girl up to go a bit quietly. Don’t ask me what the source of this is, but I don’t want it too obvious. If you can get her in without a razzamatazz you should have your man before anyone knows she’s gone, and can link her to him.’
‘I’ll pass that on. Anything else?’
‘Nothing more. Cheers. Good hunting.’
Davidson heard the phone click down. The call had lasted one minute and fifty-five seconds.
Harry let the receiver stay a moment in his hand after he’d pressed down the twin buttons with his fingers to end the call. He would have liked to talk with Davidson, unimportant small talk. But that would be unprofessional. Dangerous. Soft. Diverting. Pray God they would get the bastard now. He began to walk back to a lonely day at Delrosa, as the city on half-cylinder sparked to life.
Davidson had been surprised that Harry had rung off so fast. He reached down into his drawer and spun back the spools of his tape a few revolutions to check that the recording had operated correctly. He then wound the tape back to the beginning and played it from start to finish, taking a careful shorthand note of the conversation. He then rewound the tape again and played it once more, this time against his shorthand. Only when he was satisfied that he had correctly taken down every word spoken by Harry did he disconnect the leads between the tape and the telephone. He searched in his diary, at the back in the addresses and useful numbers section, for the home phone number of the Permanent Under-Secretary.
‘I thought you’d want to know, after our talk the other day. He’s surfaced. There’s some quite useful stuff. Should give a good lead. He sounded a bit rough. Not having much of a joyride, I fancy. I’ll call you in the office tomorrow. I’m quite hopeful we may be on to something. Yes… I’m going to pass it on now.’
His next call was to an unlisted extension in the Ministry of Defence.
Minutes later Harry’s message was on a coded tele-type machine in the red-brick, two-storey building that housed the intelligence unit at army headquarters, Lisburn. It was of sufficient immediate importance for Colonel George Frost to be called from his breakfast. Cursing about amateurs and lack of consultation he set up an urgent and high-level conference. He summoned his own men, the 39 Brigade duty operations officer, Police Special Branch, and the army officer commanding the unit that controlled the Ardoyne. The meeting was called for nine, and the unit officer was given no information as to why he was wanted at HQ, only told that on no account were any of last night’s suspects to be released. Davidson had somewhat shortened Harry’s message. Believing that an arrest was imminent now, he too had decided that the report of the recognition should be suppressed and should go no further. A million-to-one chance. It could happen again. Could be forgotten. Only cause a flap if it went official.
Whilst he was waiting for the meeting Frost reflected on the punched capitals in front of him, deciphered from the code by one of the duty typists. It was detailed enough to impress him, improbable enough to sound likely, and the sort of material you didn’t pick up sitting on your backside in the front lounge. When he had read his riot act at the General about being kept out of the picture he’d heard of the three weeks’ crash training course, and been told the arrival date. The source was now about to start his second week. Five lines of print that might be the breakthrough — and might not.
It was the sort of operation Frost detested. Ill-conceived and, worst of all, with the need for fast results dictated by political masters. If he’s working at this pace, involved enough to get his nose stuck into this sort of stuff, then Frost reckoned he had about another week to go. That would be par for the course on a job like this. That was always the way. Crash in hard while the trail is still warm. You might get something when you stir the bottom up. But not discreet. No, and not safe either.